-- Contents --
........
(1)
InCoSe | PBEsol | relaxed

- total magnetic moment (μB per cell) = 0.003
- space-group type = F-43m (216)
- theoretical density (g cm⁻³) = 7.91
- formation energy without anion corrections (eV per formula unit) = 0.1

```
12
Lattice="5.9653 0.0000 0.0000 0.0000 5.9653 0.0000 0.0000 0.0000 5.9653" Properties=species:S:1:pos:R:3 pbc="T T T"
In 0.0000 0.0000 0.0000
In 0.0000 2.9826 2.9826
In 2.9826 0.0000 2.9826
In 2.9826 2.9826 0.0000
Co 1.4913 1.4913 1.4913
Co 1.4913 4.4740 4.4740
Co 4.4740 1.4913 4.4740
Co 4.4740 4.4740 1.4913
Se 0.0000 0.0000 2.9826
Se 0.0000 2.9826 0.0000
Se 2.9826 0.0000 0.0000
Se 2.9826 2.9826 2.9826
```

=====

(2)
ZrMo3S | PBEsol | relaxed

- total magnetic moment (μB per cell) = 0.001
- space-group type = Pm-3m (221)
- theoretical density (g cm⁻³) = 6.56
- formation energy without anion corrections (eV per formula unit) = 11.8

```
5
Lattice="4.7045 0.0000 0.0000 0.0000 4.7045 0.0000 0.0000 0.0000 4.7045" Properties=species:S:1:pos:R:3 pbc="T T T"
Zr 0.0000 0.0000 0.0000
Mo 0.0000 0.0000 2.3523
Mo 0.0000 2.3523 0.0000
Mo 2.3523 0.0000 0.0000
S 2.3523 2.3523 2.3523
```

=====

(3)
TaFeAs2Se | PBEsol | relaxed

- total magnetic moment (μB per cell) = 2.272
- space-group type = P4/mmm (123)
- theoretical density (g cm⁻³) = 8.46
- formation energy without anion corrections (eV per formula unit) = 3.7

```
5
Lattice="4.3493 0.0000 0.0000 0.0000 4.3493 0.0000 0.0000 0.0000 4.8331" Properties=species:S:1:pos:R:3 pbc="T T T"
Ta 0.0000 0.0000 0.0000
Fe 2.1746 2.1746 2.4165
As 0.0000 2.1746 2.4165
As 2.1746 0.0000 2.4165
Se 2.1746 2.1746 0.0000
```

=====

(4)
Sc3Al2 | PBEsol | relaxed

- total magnetic moment (μB per cell) = 0.001
- space-group type = P-3m1 (164)
- energy relative to the elements (meV per atom) = -148
- theoretical density (g cm⁻³) = 2.88

```
5
Lattice="4.6455 0.0000 0.0000 -2.3227 4.0231 0.0000 0.0000 0.0000 5.8278" Properties=species:S:1:pos:R:3 pbc="T T T"
Sc 0.0000 0.0000 0.0000
Sc 0.0000 2.6821 2.0669
Sc 2.3227 1.3410 3.7608
Al 0.0000 2.6821 4.9351
Al 2.3227 1.3410 0.8927
```

=====

(5)
LaRu2 | PBEsol | relaxed

- total magnetic moment (μB per cell) = 0.001
- space-group type = Immm (71)
- energy relative to the elements (meV per atom) = 200
- theoretical density (g cm⁻³) = 9.97

```
6
Lattice="2.9008 0.0000 0.0000 0.0000 3.8048 0.0000 0.0000 0.0000 10.2980" Properties=species:S:1:pos:R:3 pbc="T T T"
La 0.0000 0.0000 0.0000
La 1.4504 1.9024 5.1490
Ru 0.0000 0.0000 3.0022
Ru 0.0000 0.0000 7.2958
Ru 1.4504 1.9024 2.1468
Ru 1.4504 1.9024 8.1512
```

=====

(6)
NaZrPO2 | PBEsol | relaxed

- total magnetic moment (μB per cell) = 0.001
- space-group type = P4/mmm (123)
- theoretical density (g cm⁻³) = 4.30
- formation energy without anion corrections (eV per formula unit) = -0.1

```
5
Lattice="3.9575 0.0000 0.0000 0.0000 3.9575 0.0000 0.0000 0.0000 4.3719" Properties=species:S:1:pos:R:3 pbc="T T T"
Na 0.0000 0.0000 0.0000
Zr 1.9787 1.9787 2.1859
P 0.0000 0.0000 2.1859
O 0.0000 1.9787 0.0000
O 1.9787 0.0000 0.0000
```

=====

(7)
TeOsRh | PBEsol | relaxed

- total magnetic moment (μB per cell) = 0.011
- polymorph energy (0 for the lowest one) (meV/atom) = 304
- space-group type = Fmm2 (42)
- theoretical density (g cm⁻³) = 13.77
- formation energy without anion corrections (eV per formula unit) = 2.7

```
12
Lattice="2.9305 0.0000 0.0000 0.0000 4.9838 0.0000 0.0000 0.0000 13.8914" Properties=species:S:1:pos:R:3 pbc="T T T"
Te 0.0000 0.0000 0.0000
Te 0.0000 2.4919 6.9457
Te 1.4653 0.0000 6.9457
Te 1.4653 2.4919 0.0000
Os 0.0000 0.0000 9.3543
Os 0.0000 2.4919 2.4086
Os 1.4653 0.0000 2.4086
Os 1.4653 2.4919 9.3543
Rh 0.0000 0.0000 4.5278
Rh 0.0000 2.4919 11.4735
Rh 1.4653 0.0000 11.4735
Rh 1.4653 2.4919 4.5278
```

=====

(8)
MgPbBr2 | PBEsol | relaxed

- total magnetic moment (μB per cell) = 0.000
- polymorph energy (0 for the lowest one) (meV/atom) = 210
- space-group type = P4/mmm (123)
- theoretical density (g cm⁻³) = 6.11
........

-- To do --
What is needed: copy only the lines above with the word "unit" in them.

-- Worked solution --
- formation energy without anion corrections (eV per formula unit) = 0.1
- formation energy without anion corrections (eV per formula unit) = 11.8
- formation energy without anion corrections (eV per formula unit) = 3.7
- formation energy without anion corrections (eV per formula unit) = -0.1
- formation energy without anion corrections (eV per formula unit) = 2.7